**Assignment**
Now write out the calculation results further down word for word.

**File**
┌──
DFT (the ωB97M-V functional and the def2-TZVPD basis) results for a structure of composition C44H38F6KN8O7PS3.

```
108
Properties=species:S:1:pos:R:3
K 0.099 -0.392 -0.069
C 3.938 -2.268 2.943
C 4.356 -1.519 4.036
C 3.967 -0.201 4.132
C 3.133 0.355 3.139
N 2.728 -0.379 2.091
C 3.143 -1.638 2.000
N 2.712 1.647 3.342
C 2.481 2.479 2.372
N 2.690 2.334 1.049
C 2.499 3.531 0.452
N 2.628 3.833 -0.798
C 2.793 2.859 -1.755
C 3.833 3.018 -2.689
C 4.035 2.046 -3.644
C 3.178 0.953 -3.687
C 2.143 0.909 -2.771
N 1.940 1.830 -1.836
C 2.181 4.573 1.471
C 1.984 5.935 1.392
C 1.665 6.615 2.565
C 1.550 5.935 3.773
C 1.779 4.562 3.847
C 2.102 3.895 2.683
H 4.220 -3.305 2.821
H 4.981 -1.963 4.804
H 4.295 0.428 4.948
H 2.819 -2.181 1.122
H 4.481 3.881 -2.605
H 4.863 2.120 -4.339
H 3.313 0.155 -4.404
H 1.442 0.077 -2.775
H 2.089 6.450 0.444
H 1.500 7.686 2.530
H 1.288 6.488 4.668
H 1.710 4.031 4.788
O -2.210 0.583 -0.061
S -2.769 -0.570 -0.788
O -3.950 -1.129 -0.160
O -1.739 -1.526 -1.159
C -3.381 0.202 -2.286
C -4.564 -0.230 -2.863
C -5.112 0.482 -3.917
C -4.471 1.623 -4.378
C -3.288 2.051 -3.794
C -2.720 1.341 -2.733
P -1.167 1.876 -1.866
C -1.861 3.256 -0.864
C -0.965 4.036 -0.134
C -1.414 5.094 0.644
C -2.770 5.377 0.718
C -3.671 4.585 0.023
C -3.222 3.533 -0.762
C -0.521 2.863 -3.309
C -0.168 4.208 -3.293
C 0.459 4.794 -4.386
C 0.742 4.046 -5.517
C 0.381 2.705 -5.554
C -0.235 2.124 -4.462
H -5.050 -1.109 -2.459
H -6.051 0.170 -4.359
H -4.897 2.194 -5.195
H -2.815 2.958 -4.142
H 0.090 3.801 -0.174
H -0.703 5.691 1.199
H -3.125 6.200 1.327
H -4.735 4.779 0.096
H -3.940 2.909 -1.275
H -0.378 4.811 -2.419
H 0.736 5.842 -4.347
H 1.246 4.500 -6.362
H 0.598 2.110 -6.434
H -0.503 1.073 -4.485
C -0.618 -1.296 3.701
C -1.352 -1.776 4.982
N -2.794 -1.887 4.732
C -3.006 -2.826 3.625
C -2.292 -2.317 2.345
N -1.594 -1.059 2.639
C -2.572 -0.063 3.066
C -3.312 -0.573 4.333
H 0.093 -2.040 3.335
H -0.067 -0.370 3.884
H -1.215 -1.077 5.813
H -0.997 -2.759 5.304
H -4.084 -2.922 3.470
H -2.622 -3.801 3.940
H -3.001 -2.135 1.544
H -1.558 -3.034 1.990
H -3.258 0.107 2.236
H -2.045 0.874 3.261
H -4.383 -0.685 4.146
H -3.182 0.107 5.181
F -1.662 -4.137 -0.422
C -0.605 -4.195 -1.239
F -0.960 -3.793 -2.446
F -0.276 -5.502 -1.307
S 0.836 -3.227 -0.488
O 1.127 -2.099 -1.326
O 0.410 -2.961 0.852
N 2.041 -4.270 -0.466
S 2.775 -4.614 -1.830
O 3.694 -5.695 -1.619
O 1.924 -4.687 -2.983
C 3.914 -3.160 -2.212
F 5.088 -3.650 -2.664
F 4.182 -2.427 -1.132
F 3.437 -2.376 -3.175
```

Results
Total energy (Ha): -5399.46441
Kohn-Sham gap (eV): 6.811
Relative energy (zero: lowest compared OMol25 entry of this formula, charge and spin) (kcal per mole): 36.72
2S+1: 1
Charge: -2

DFT (the ωB97M-V functional and the def2-TZVPD basis) results for a structure of composition C30H39MnN3S.

```
74
Properties=species:S:1:pos:R:3
Mn -0.372 -0.137 0.539
N 0.650 -4.452 2.531
N -2.656 1.224 2.041
C 0.818 -0.523 -1.329
C -0.222 -1.493 -1.127
C 0.372 -2.725 -0.427
C 0.223 -4.047 -1.216
H -0.768 -4.073 -1.709
H 0.266 -4.936 -0.584
H 0.993 -4.122 -1.971
C 1.804 -2.265 -0.179
C 2.873 -3.182 0.282
H 3.296 -3.739 -0.570
H 2.502 -3.917 1.005
H 3.708 -2.622 0.734
C 2.021 -1.023 -0.716
C 3.324 -0.297 -0.847
H 3.950 -0.415 0.045
H 3.154 0.779 -1.012
H 3.907 -0.652 -1.713
C -1.287 -1.583 -2.174
H -0.866 -1.943 -3.133
H -1.736 -0.606 -2.389
H -2.108 -2.247 -1.907
C 0.819 0.548 -2.393
H 1.405 1.426 -2.079
H -0.194 0.916 -2.616
H 1.254 0.204 -3.352
C 0.682 -4.806 3.825
H 1.165 -5.755 4.077
C 0.133 -4.014 4.864
H 0.240 -4.363 5.898
C -0.574 -2.866 4.519
H -0.928 -2.169 5.273
C -0.791 -2.612 3.165
H -1.473 -1.830 2.845
C -0.123 -3.388 2.171
C -0.419 -3.089 0.801
H -1.493 -3.270 0.572
C -1.794 1.314 1.021
C -3.881 1.689 1.629
H -4.759 1.655 2.236
C -3.775 2.183 0.360
H -4.489 2.699 -0.251
N -2.429 2.034 -0.005
C -1.767 2.694 -1.058
C -2.443 2.865 -2.280
C -1.982 3.885 -3.126
H -2.552 4.092 -4.028
C -0.821 4.601 -2.841
C -0.394 5.730 -3.725
H 0.696 5.811 -3.767
H -0.780 6.691 -3.359
H -0.773 5.598 -4.741
└──

**Written answer**
DFT (the ωB97M-V functional and the def2-TZVPD basis) results for a structure of composition C44H38F6KN8O7PS3.

```
108
Properties=species:S:1:pos:R:3
K 0.099 -0.392 -0.069
C 3.938 -2.268 2.943
C 4.356 -1.519 4.036
C 3.967 -0.201 4.132
C 3.133 0.355 3.139
N 2.728 -0.379 2.091
C 3.143 -1.638 2.000
N 2.712 1.647 3.342
C 2.481 2.479 2.372
N 2.690 2.334 1.049
C 2.499 3.531 0.452
N 2.628 3.833 -0.798
C 2.793 2.859 -1.755
C 3.833 3.018 -2.689
C 4.035 2.046 -3.644
C 3.178 0.953 -3.687
C 2.143 0.909 -2.771
N 1.940 1.830 -1.836
C 2.181 4.573 1.471
C 1.984 5.935 1.392
C 1.665 6.615 2.565
C 1.550 5.935 3.773
C 1.779 4.562 3.847
C 2.102 3.895 2.683
H 4.220 -3.305 2.821
H 4.981 -1.963 4.804
H 4.295 0.428 4.948
H 2.819 -2.181 1.122
H 4.481 3.881 -2.605
H 4.863 2.120 -4.339
H 3.313 0.155 -4.404
H 1.442 0.077 -2.775
H 2.089 6.450 0.444
H 1.500 7.686 2.530
H 1.288 6.488 4.668
H 1.710 4.031 4.788
O -2.210 0.583 -0.061
S -2.769 -0.570 -0.788
O -3.950 -1.129 -0.160
O -1.739 -1.526 -1.159
C -3.381 0.202 -2.286
C -4.564 -0.230 -2.863
C -5.112 0.482 -3.917
C -4.471 1.623 -4.378
C -3.288 2.051 -3.794
C -2.720 1.341 -2.733
P -1.167 1.876 -1.866
C -1.861 3.256 -0.864
C -0.965 4.036 -0.134
C -1.414 5.094 0.644
C -2.770 5.377 0.718
C -3.671 4.585 0.023
C -3.222 3.533 -0.762
C -0.521 2.863 -3.309
C -0.168 4.208 -3.293
C 0.459 4.794 -4.386
C 0.742 4.046 -5.517
C 0.381 2.705 -5.554
C -0.235 2.124 -4.462
H -5.050 -1.109 -2.459
H -6.051 0.170 -4.359
H -4.897 2.194 -5.195
H -2.815 2.958 -4.142
H 0.090 3.801 -0.174
H -0.703 5.691 1.199
H -3.125 6.200 1.327
H -4.735 4.779 0.096
H -3.940 2.909 -1.275
H -0.378 4.811 -2.419
H 0.736 5.842 -4.347
H 1.246 4.500 -6.362
H 0.598 2.110 -6.434
H -0.503 1.073 -4.485
C -0.618 -1.296 3.701
C -1.352 -1.776 4.982
N -2.794 -1.887 4.732
C -3.006 -2.826 3.625
C -2.292 -2.317 2.345
N -1.594 -1.059 2.639
C -2.572 -0.063 3.066
C -3.312 -0.573 4.333
H 0.093 -2.040 3.335
H -0.067 -0.370 3.884
H -1.215 -1.077 5.813
H -0.997 -2.759 5.304
H -4.084 -2.922 3.470
H -2.622 -3.801 3.940
H -3.001 -2.135 1.544
H -1.558 -3.034 1.990
H -3.258 0.107 2.236
H -2.045 0.874 3.261
H -4.383 -0.685 4.146
H -3.182 0.107 5.181
F -1.662 -4.137 -0.422
C -0.605 -4.195 -1.239
F -0.960 -3.793 -2.446
F -0.276 -5.502 -1.307
S 0.836 -3.227 -0.488
O 1.127 -2.099 -1.326
O 0.410 -2.961 0.852
N 2.041 -4.270 -0.466
S 2.775 -4.614 -1.830
O 3.694 -5.695 -1.619
O 1.924 -4.687 -2.983
C 3.914 -3.160 -2.212
F 5.088 -3.650 -2.664
F 4.182 -2.427 -1.132
F 3.437 -2.376 -3.175
```

Results
Total energy (Ha): -5399.46441
Kohn-Sham gap (eV): 6.811
Relative energy (zero: lowest compared OMol25 entry of this formula, charge and spin) (kcal per mole): 36.72
2S+1: 1
Charge: -2

DFT (the ωB97M-V functional and the def2-TZVPD basis) results for a structure of composition C30H39MnN3S.

```
74
Properties=species:S:1:pos:R:3
Mn -0.372 -0.137 0.539
N 0.650 -4.452 2.531
N -2.656 1.224 2.041
C 0.818 -0.523 -1.329
C -0.222 -1.493 -1.127
C 0.372 -2.725 -0.427
C 0.223 -4.047 -1.216
H -0.768 -4.073 -1.709
H 0.266 -4.936 -0.584
H 0.993 -4.122 -1.971
C 1.804 -2.265 -0.179
C 2.873 -3.182 0.282
H 3.296 -3.739 -0.570
H 2.502 -3.917 1.005
H 3.708 -2.622 0.734
C 2.021 -1.023 -0.716
C 3.324 -0.297 -0.847
H 3.950 -0.415 0.045
H 3.154 0.779 -1.012
H 3.907 -0.652 -1.713
C -1.287 -1.583 -2.174
H -0.866 -1.943 -3.133
H -1.736 -0.606 -2.389
H -2.108 -2.247 -1.907
C 0.819 0.548 -2.393
H 1.405 1.426 -2.079
H -0.194 0.916 -2.616
H 1.254 0.204 -3.352
C 0.682 -4.806 3.825
H 1.165 -5.755 4.077
C 0.133 -4.014 4.864
H 0.240 -4.363 5.898
C -0.574 -2.866 4.519
H -0.928 -2.169 5.273
C -0.791 -2.612 3.165
H -1.473 -1.830 2.845
C -0.123 -3.388 2.171
C -0.419 -3.089 0.801
H -1.493 -3.270 0.572
C -1.794 1.314 1.021
C -3.881 1.689 1.629
H -4.759 1.655 2.236
C -3.775 2.183 0.360
H -4.489 2.699 -0.251
N -2.429 2.034 -0.005
C -1.767 2.694 -1.058
C -2.443 2.865 -2.280
C -1.982 3.885 -3.126
H -2.552 4.092 -4.028
C -0.821 4.601 -2.841
C -0.394 5.730 -3.725
H 0.696 5.811 -3.767
H -0.780 6.691 -3.359
H -0.773 5.598 -4.741